### What to do
Your job: return the contents further down from the first line to the one with "0.911)" without altering anything.

### Data
Computed, not measured: 8 unconnected molecules or ions with the total composition C24H56BrClN8O12P2 at a distorted geometry, with ωB97M-V with the def2-TZVPD basis set.

- E_LUMO: 0.263 eV
- Gap between HOMO and LUMO: 8.989 eV

Each line ends with the Mulliken charge.
Element x y z (Å)
C (3.863, -2.838, 3.334)  -0.5662
C (3.924, -2.956, 1.827)  -0.4318
O (2.675, -2.499, 1.288)  0.0269
O (1.946, -3.657, 0.911)  -0.2617
C (0.663, -3.319, 1.100)  0.0717
O (-0.096, -3.403, 0.245)  -0.5241
N (0.364, -2.875, 2.412)  0.4970
P (-0.483, -1.322, 2.267)  0.4921
O (-1.648, -1.395, 3.393)  -0.4426
Cl (0.879, 0.092, 2.956)  -0.3357
P (-0.444, -4.086, 3.374)  0.2852
O (-1.402, -4.886, 2.320)  -0.4761
Br (1.223, -5.593, 3.649)  -0.2343
H (3.272, -1.977, 3.584)  0.1597
H (3.365, -3.714, 3.708)  -0.0902
H (4.843, -2.769, 3.774)  0.4334
H (4.082, -3.972, 1.511)  0.3577
H (4.684, -2.325, 1.390)  0.2798
H (-2.436, -1.696, 2.918)  0.3590
H (-1.594, -4.377, 1.516)  0.3620
C (1.222, -0.018, -0.835)  -0.9085
N (1.618, 0.788, -1.974)  0.2274
C (0.743, 1.859, -2.418)  -1.0356
C (2.767, 0.580, -2.642)  0.0010
O (3.133, 1.218, -3.610)  -0.6118
H (0.265, -0.502, -1.051)  0.3708
H (1.111, 0.616, 0.046)  0.3929
H (1.968, -0.783, -0.628)  0.2001
H (0.441, 1.687, -3.452)  0.2839
H (1.270, 2.813, -2.372)  0.3279
H (-0.139, 1.899, -1.783)  0.3921
H (3.368, -0.249, -2.226)  0.3748
C (-1.272, 4.553, 3.300)  -0.9161
N (-2.097, 3.384, 3.068)  0.1363
C (-3.520, 3.452, 3.365)  -1.0349
C (-1.591, 2.238, 2.589)  0.3859
O (-2.227, 1.222, 2.377)  -0.6459
H (-1.314, 4.834, 4.353)  0.3466
H (-1.633, 5.388, 2.695)  0.3275
H (-0.239, 4.344, 3.031)  0.3012
H (-3.776, 2.700, 4.112)  0.2973
H (-4.092, 3.248, 2.459)  0.2797
H (-3.776, 4.439, 3.742)  0.4311
H (-0.509, 2.295, 2.394)  0.0847
C (-6.510, 6.078, -0.001)  -0.9783
N (-6.773, 6.015, 1.427)  0.1941
C (-7.950, 5.305, 1.899)  -0.9685
C (-5.965, 6.593, 2.331)  0.1317
O (-6.133, 6.571, 3.536)  -0.6172
H (-7.342, 6.566, -0.509)  0.3643
H (-6.392, 5.068, -0.397)  0.3244
H (-5.600, 6.642, -0.196)  0.2811
H (-8.595, 5.985, 2.457)  0.3067
H (-7.652, 4.495, 2.565)  0.2715
H (-8.496, 4.897, 1.053)  0.3974
H (-5.101, 7.106, 1.872)  0.2948
C (0.570, -1.860, -4.415)  -0.7830
N (1.163, -3.168, -4.203)  0.2374
C (1.049, -3.808, -2.897)  -1.0037
C (1.823, -3.813, -5.176)  0.1496
O (2.342, -4.909, -5.056)  -0.6450
H (1.010, -1.138, -3.725)  0.1860
H (-0.507, -1.906, -4.239)  0.3312
H (0.747, -1.521, -5.433)  0.3105
H (2.045, -3.992, -2.494)  0.3056
H (0.539, -4.765, -3.004)  0.3517
H (0.493, -3.173, -2.214)  0.3246
H (1.858, -3.247, -6.124)  0.2526
C (6.051, -4.600, -7.862)  -0.8809
N (6.418, -5.116, -6.560)  0.1415
C (5.368, -5.377, -5.584)  -0.9171
C (7.697, -5.360, -6.225)  0.1221
O (8.066, -5.792, -5.149)  -0.5910
H (5.540, -3.641, -7.752)  0.3089
H (5.383, -5.302, -8.366)  0.3128
H (6.939, -4.457, -8.475)  0.3104
H (5.542, -4.778, -4.690)  0.2868
H (5.386, -6.429, -5.300)  0.2826
H (4.399, -5.132, -6.001)  0.3566
H (8.409, -5.127, -7.038)  0.2470
C (-5.918, 11.099, -2.160)  -0.9230
N (-6.726, 9.917, -2.390)  0.1238
C (-8.149, 9.962, -2.094)  -0.8966
C (-6.205, 8.774, -2.871)  0.1031
O (-6.837, 7.757, -3.081)  -0.5874
H (-5.962, 11.380, -1.106)  0.3385
H (-6.291, 11.927, -2.766)  0.3338
H (-4.882, 10.904, -2.430)  0.2935
H (-8.397, 9.207, -1.347)  0.2343
H (-8.722, 9.750, -2.996)  0.3063
H (-8.414, 10.946, -1.716)  0.3782
H (-5.119, 8.841, -3.064)  0.3032
C (4.550, -7.288, 7.872)  -0.9139
N (4.689, -7.003, 6.458)  0.1426
C (4.917, -8.099, 5.531)  -0.8911
C (4.615, -5.752, 5.969)  0.1350
O (4.724, -5.461, 4.793)  -0.5890
H (5.456, -7.769, 8.245)  0.3403
H (3.701, -7.955, 8.034)  0.3348
H (4.385, -6.368, 8.427)  0.2918
H (5.858, -7.949, 5.003)  0.2926
H (4.114, -8.133, 4.794)  0.2361
H (4.951, -9.039, 6.075)  0.3842
H (4.439, -4.991, 6.749)  0.2597

~~~~~

A gas-phase ion, C2H2N3O2 (charge -1) in a non-equilibrium geometry. Source: the Open Molecules 2025 dataset; level of theory: wB97M-V/def2-TZVPD.

Computed properties:

### Completed
Computed, not measured: 8 unconnected molecules or ions with the total composition C24H56BrClN8O12P2 at a distorted geometry, with ωB97M-V with the def2-TZVPD basis set.

- E_LUMO: 0.263 eV
- Gap between HOMO and LUMO: 8.989 eV

Each line ends with the Mulliken charge.
Element x y z (Å)
C (3.863, -2.838, 3.334)  -0.5662
C (3.924, -2.956, 1.827)  -0.4318
O (2.675, -2.499, 1.288)  0.0269
O (1.946, -3.657, 0.911)  -0.2617